Sunday, March 9, 2008

Disneyland - part 1 -The Princess Fair

I have to preface this story by admitting that Benjamin is not a normal 25 month old child. He is my Disney baby. He was concieved on a Disney trip (I know, too much information), I went to Disneyland while I was pregnant with him, we took him on his first trip to Disneyland at 3 months and then again at 20 months. So, he has had experience with Disneyland. At his 2 year appointment, the doctor was surprised that Benjamin remembered Disneyland and could talk about what he did there. He has also watched the slide show I made of our last trip at least a million times in the past 5 months. So, he was VERY excited to go to Disneyland on this trip. From the moment we got there he was just a bundle of excited energy, and he seemed to charm everyone around him.

Our first priority was seeing Mickey and Minnie Mouse dressed up for the Chinese New Year. It was ending on February 29th, so we only had two days to see them and get a picture. Since this was one thing that Emilyanne was really sad that she was missing, I needed to get her picture with Mickey and Minnie before they were gone. Lucky for us we were able to see them both fairly easily and with little or no lines because of our timing.
When we went to the Princess Fair (this is the only place you can see the princesses these days), we got in line (this is always a very long wait) and hoped we would be seeing Cinderella (for Leilani) and Snow White (for Emilyanne). They have three princesses in there at a time, and they are constantly changing. Last fall, we didn't get to see either of those princesses at the fair. We had the kids dressed up - Leilani was Tinkerbell, Benjamin was Peter Pan and Hailey was Wendy - and they were more than ready to see the princesses when we got up to the front of the line. In fact, Benjamin kept trying to sneak in there with other families (they let one group of people in at a time). When they said it was our turn, Benjamin took off. He ran up to Sleeping Beauty and jumped on her and gave her a big hug.

Then he was off to Belle. She got down and he jumped right into her poofy dress and gave her a hug. He was sticking out his tongue and hiding from them and generally flirting. The princesses, the pages and the photographers were all getting a big kick out of him (Leilani got cheated. There are tons more pictures of Benjamin than of her).

When we got to Mulan, the guy escorting us thru asked how many princesses we had seen. I told him only these three, but that I really needed to see Snow White to get a picture for my little girl I left at home. He told us that he really wanted all the princesses to see Benjamin, that none of them should miss out on this entertainment, so if we wanted to come back after the coronation show (where the princesses who are not getting pictures at the time are performing) he would bring us in thru the back door and we could see the other princesses. Of course we said "YES!" Who wanted to wait another 45 minutes in line to maybe see the right princesses? I was already questioning if I loved the daughter at home who loved Snow White enough to wait in line again. (So, Emilyanne can thank her cute brother for her autographed picture from Snow White) I told him he was an answer to my prayers and we would be back.

So we went to the coronation. We found out later that the guy who escorted us (Devin) was talking on his headphones about our kids to the people on stage, and they were picking them out in the audience. When it came time to do the maypoles, one of the ladies-in-waiting came and took both Benjamin and Hailey by the hand and helped them get ribbons and do the maypole with Snow White. She actually walked with Hailey the whole time.

When the coronation was over, we went back up to the princess area. We had to wait for Devin to finish up some work, and while we waited Benjamin started to throw a fit because he wanted to eat, not see more princesses (keep in mind this was about 5 pm and he hadn't had a nap). Luckily for me he is fairly easy to talk out of a fit. So by the time Devin took us into the princess area, he was in pretty good form again. He didn't really want to see Snow White, though, he was yelling for Jasmine!
He and Cinderella had a good time. She didn't want to let him go. In fact, when it was time for her to leave, instead of leaving she visited more with Benjamin and Hailey by the exit.

Finally he got to meet Jasmine. For some reason he had been yelling for her the whole time. (Rumor has it this thing for Jasmine is a male thing)
It was kind of funny, while the kids were seeing Jasmine, one of the pages says to me, "How many Disney visa's do you have?" I wasn't sure I heard him right, because it seemed like such an odd question, so I said, "Did you just ask me how many Disney visa's I have?" He smiled and said, "Yes, I saw you guys this morning at the character meet and greet in Californina Adventure." (You can only go into that if you are a Disney Visa card holder) It was kind of funny, because we had A LOT of photographers and cast members remember us during our trip. In fact, on Saturday I was getting a free picture printed in California Adventure, and the guy said, "Were you guys at the Princess Fair in Disneyland on Thursday afternoon?" I had to think about it, but I said, "yes." Then he asked, "Is your son's name Benjamin?" Again I said, "yes." Turns out he was one of the photographers there that day. He said that for the past few days he and other photographers had been pulling up pictures in the back room that they had taken of Benjamin, and showing them to people. He said that Cinderella REALLY liked Benjamin. It made me feel almost famous - Yes, I'm Benjamin's mom!
Pocahontas came in to change with Jasmine, so Leilani was excited to get a picture with her. Benjamin wouldn't have a thing to do with her, so we forced him in the picture.

We profusely thanked them all. Devin gave Benjamin his first Disneyland pin - Pluto, and Snow White wrote notes to my two girls at home telling them how much she missed them. Devin worked my sister's camera for her, because at first she couldn't get it to work, and then she just wanted to deal with Hailey instead of the camera. I'm sure the people behind us hated us, because we got much more than our fair share of time. Even when we were done with the princesses, there was a lady in waiting who was playing tag with the kids. It was a whole different experience then when we were there with the kids and cousins last fall. :)

It didn't stop there, though. Later that night, when we were watching the parade, the blue fairy from Sleeping Beauty (Merriweather) came dancing over to us and said, "Hi Benjamin, did you have a good time today?" (he didn't have anything with his name on it, not even his mouse ears). Then she talked to Hailey, and then she went to Leilani and said, "Hi Leilani, is this the best birthday you have ever had?" Then she continued on down the street with the parade. I'm sure the people around us were wondering how in the world that fairy knew the kids. We were wondering the same thing. The only thing we can figure is that it must have been one of the people working at the princess fair that day.


LeaAnne said...

WOWSA Lisa!!! What a REALLY COOL trip! You have a life time of memories from this trip alone! I think it is understandable that everyone knew/remembered who you all were do have a great group of kids! (and you gals are cute too! :p )

Jennifer Lyn Newell Standridge said...

HOW FUN for you and the kids. It makes me want to go back. I haven't been in many years. Jill seems to have some kind of pass and it sounds like she gets to go quite a bit. I need to go visit her.

Margaret said...

SO fun! You should've taken me!

== Inserted here: molecular data ==
~~~
1.
ORCA calculation (the ωB97M-V functional and the def2-TZVPD basis) on C19H15N3OS as an isolated structure at a distorted geometry.

Each line ends with the natural charge from an NBO analysis.
Positions of all 39 atoms, in Å:
N: -1.6928 3.3881 4.0614  -0.2904
O: -2.7764 -0.2630 5.6838  -0.4705
C: -1.7568 2.2450 4.1646  0.2829
N: -1.9171 -1.5139 4.0664  -0.4369
S: 1.4579 1.1595 -5.1923  0.1517
C: -2.1033 -0.2942 4.6413  0.6084
C: -0.9297 -1.2034 3.2511  0.3624
C: 0.9744 1.5188 0.0789  -0.2823
C: -1.5395 -2.6842 0.2841  -0.2317
C: 0.6466 1.6045 1.5009  -0.0887
C: -0.9060 -1.6037 -0.5674  -0.1564
C: -1.3824 0.8180 3.9673  -0.1932
C: -0.5629 0.1728 3.1353  -0.0654
C: 0.6213 0.4144 -0.6005  0.2322
C: -1.1938 -2.9489 1.6377  -0.1233
C: 0.3670 0.3887 2.1109  -0.0336
C: 0.0982 -0.8419 0.0353  -0.0200
N: 0.7491 0.4762 -2.0434  -0.5036
C: -0.1702 1.2371 -4.3298  -0.5207
C: 2.5505 0.5579 -3.7314  -0.4941
C: -0.1986 -2.0633 2.2795  -0.3383
C: 0.5747 -1.0130 1.4423  -0.2530
C: 0.0088 1.5188 -2.8384  -0.2141
C: 1.8683 -0.2370 -2.6381  -0.2073
H: 1.3601 2.4762 -0.2676  0.2296
H: -2.3162 -3.3038 -0.2304  0.2226
H: 0.2568 2.5296 1.7754  0.2274
H: -1.3117 -1.3381 -1.5019  0.2283
H: -1.5214 -3.8230 2.1788  0.2374
H: -0.7909 0.3998 -4.4960  0.2078
H: -0.6986 2.0330 -4.9039  0.2376
H: 2.9667 1.4231 -3.1739  0.2030
H: 3.4408 0.0603 -4.0962  0.2315
H: 0.5327 -2.6002 2.8336  0.2571
H: 1.6509 -1.2000 1.5087  0.2347
H: -1.0273 1.5994 -2.3974  0.2096
H: 0.4119 2.5455 -2.7247  0.1828
H: 1.6020 -1.1260 -3.0053  0.1769
H: 2.6567 -0.5090 -1.8985  0.1998

Relative energy (zero: lowest compared OMol25 entry of this formula, charge and spin), eV: 7.448
HOMO level, eV: -8.39
Orbital gap, eV: 6.3
Largest force on an atom, eV Å⁻¹: 6.1
Electronic energy, eV: -37293.808

2.
ORCA calculation (the ωB97M-V functional and the def2-TZVPD basis) on C19H16ClNO3SSc as an isolated structure.

Each line ends with the natural charge from an NBO analysis.
Positions of all 42 atoms, in Å:
Sc: 0.2294 0.0635 -0.0791  1.5369
C: -2.1837 -1.6433 -2.4352  -0.6402
C: -2.1200 -1.0220 -1.0723  -0.0093
C: -1.8018 -1.7956 0.0512  -0.2172
C: -1.7460 -1.2339 1.3233  -0.2022
C: -2.0160 0.1243 1.4989  -0.2228
C: -2.3303 0.9085 0.3924  -0.2298
C: -2.3702 0.3414 -0.8814  -0.1812
H: -3.1456 -2.1414 -2.5691  0.2480
H: -1.3976 -2.3867 -2.5561  0.2354
H: -2.0793 -0.8950 -3.2186  0.2340
H: -1.5674 -2.8445 -0.0801  0.2482
H: -1.4703 -1.8464 2.1707  0.2586
H: -1.9498 0.5685 2.4820  0.2574
H: -2.5148 1.9678 0.5126  0.2525
H: -2.5825 0.9670 -1.7389  0.2435
Cl: 2.2851 7.1601 -0.8962  0.0367
C: 1.7795 5.5078 -0.9732  -0.0935
C: 1.5448 4.9164 -2.2245  -0.1444
C: 1.1435 3.6070 -2.3278  -0.2307
C: 0.9596 2.8249 -1.1761  0.4160
O: 0.5836 1.5738 -1.2803  -0.7635
C: 1.1931 3.4289 0.0850  -0.2972
C: 1.0012 2.7177 1.3019  0.4706
O: 0.6185 1.5374 1.4134  -0.6464
C: 1.6071 4.7772 0.1668  -0.1314
H: 1.6880 5.5119 -3.1165  0.2418
H: 0.9700 3.1522 -3.2932  0.2310
H: 1.1973 3.2666 2.2306  0.1673
H: 1.7850 5.2254 1.1364  0.2350
~~~


carizolli said...

Wow - that truly is a magical place, huh? I love those pictures of Benjamin with Cinderella! PRICELESS!

Can you believe that of all the little kids that go thru that place every day...they remembered your Benjamin? WOW - that's seriously awesome!